-- Data --
-- begin --
Molecular formula: C28H19CrN7O2S
Method: DFT, ωB97M-V/def2-TZVPD

Structure (ORCA input):
```
! RIJCOSX wB97M-V def2-TZVPD def2/J DEFGRID3
* xyz 0 5
Cr -0.464 0.192 0.123
O -1.097 0.248 -3.983
C -0.712 0.095 -2.838
N -1.431 0.173 -1.678
C -2.838 0.290 -1.677
C -3.678 0.136 -2.774
C -5.055 0.234 -2.602
C -5.590 0.484 -1.351
C -4.756 0.637 -0.249
C -3.378 0.535 -0.412
N -2.384 0.667 0.596
C -2.704 1.121 1.821
O -3.794 1.402 2.301
C -1.473 1.349 2.652
C -1.558 1.906 3.913
C -0.390 2.160 4.602
C 0.820 1.850 3.995
C 0.814 1.285 2.738
N -0.317 1.025 2.071
C 0.739 -0.185 -2.502
C 1.746 -0.085 -3.404
C 3.162 -0.154 -3.111
C 3.766 0.027 -1.919
C 3.002 0.388 -0.672
N 0.787 -0.499 -1.194
H -3.253 -0.050 -3.747
H -5.708 0.113 -3.458
H -6.662 0.564 -1.221
H -5.169 0.829 0.727
H -2.543 2.129 4.299
H -0.414 2.598 5.592
H 1.764 2.040 4.486
H 1.736 1.020 2.244
H 1.435 0.067 -4.430
H 3.812 -0.348 -3.961
H 4.838 -0.108 -1.835
H 3.679 0.420 0.185
N 2.547 -2.068 -0.619
C 2.022 -2.921 0.273
C 2.119 -4.307 0.403
C 1.446 -4.887 1.455
C 0.681 -4.125 2.377
C 0.574 -2.767 2.268
C 1.253 -2.136 1.201
N 1.293 -0.845 0.881
C 1.946 -0.739 -0.430
C 2.323 1.745 -0.830
C 2.800 2.765 -1.585
S 1.711 4.079 -1.575
C 0.693 3.219 -0.515
N 1.120 2.029 -0.212
H 2.949 -2.329 -1.505
H 2.690 -4.901 -0.299
H 1.494 -5.961 1.581
H 0.164 -4.638 3.177
H -0.017 -2.182 2.961
H 3.697 2.787 -2.182
H -0.239 3.630 -0.151
*
```

## Properties
E_tot = -3054.8913 Ha
Expectation value of S² = 6.07

---

Molecular formula: C28H20BeClN2OPS2
Method: DFT, ωB97M-V/def2-TZVPD

Structure (ORCA input):
```
! RIJCOSX wB97M-V def2-TZVPD def2/J DEFGRID3
* xyz 0 1
Be -0.473 1.417 0.111
Cl -5.903 0.706 -3.879
C -4.400 0.624 -3.074
C -3.240 0.521 -3.843
C -2.015 0.781 -3.262
C -1.920 1.223 -1.883
O -0.774 1.628 -1.446
C -3.138 1.118 -1.029
C -3.118 1.606 0.316
N -1.949 1.891 0.901
C -1.621 2.904 1.747
C -2.470 3.614 2.598
C -1.971 4.598 3.477
C -0.610 4.975 3.417
C 0.272 4.305 2.586
C 1.671 4.563 2.480
C 2.485 3.648 1.811
C 1.888 2.679 1.031
N 0.568 2.485 0.985
C -0.232 3.250 1.781
C -4.326 0.784 -1.685
H -3.392 0.329 -4.883
H -1.072 0.606 -3.790
H -4.034 1.626 0.905
H -3.533 3.370 2.622
H -2.582 5.088 4.280
H -0.203 5.747 4.031
H 2.102 5.383 3.002
H 3.581 3.654 1.974
H 2.531 2.119 0.327
H -5.264 0.706 -1.193
S 2.643 0.012 -0.957
P 1.342 -1.346 -0.278
S -0.366 -0.751 0.644
C 2.140 -2.479 0.900
C 1.339 -3.374 1.611
C 1.947 -4.094 2.645
C 3.307 -4.014 2.855
C 4.076 -3.207 2.057
C 3.514 -2.424 1.048
C 1.025 -2.412 -1.679
C -0.275 -2.609 -2.205
C -0.452 -3.512 -3.274
C 0.618 -4.218 -3.819
C 1.859 -4.110 -3.173
C 2.089 -3.164 -2.187
H 0.270 -3.398 1.378
H 1.303 -4.759 3.233
H 3.816 -4.609 3.569
H 5.154 -3.294 2.102
H 4.112 -1.720 0.488
H -1.116 -2.083 -1.774
H -1.423 -3.712 -3.725
H 0.407 -4.905 -4.655
H 2.735 -4.701 -3.537
H 3.080 -3.063 -1.682
*
```

## Properties
E_tot = -2876.5976 Ha

---

Molecular formula: C28H20Br4ClEuF5N3O2
Method: DFT, ωB97M-V/def2-TZVPD

Structure (ORCA input):
```
! RIJCOSX wB97M-V def2-TZVPD def2/J DEFGRID3
* xyz -1 8
Eu -1.252 0.609 0.537
Br 1.190 2.462 2.643
C 2.849 1.793 2.030
C 3.796 1.659 3.007
C 5.098 1.215 2.698
C 5.420 0.934 1.408
C 4.460 1.067 0.373
C 4.848 0.767 -0.961
C 3.960 0.894 -1.983
C 2.636 1.291 -1.711
C 2.203 1.562 -0.437
C 3.134 1.483 0.657
H 3.541 1.897 4.029
H 5.831 1.112 3.487
H 6.417 0.600 1.149
H 5.863 0.435 -1.140
H 4.254 0.658 -2.998
H 1.906 1.318 -2.512
Br 3.595 -5.415 -1.023
C 2.268 -4.059 -1.188
C 2.361 -2.906 -0.420
C 1.394 -1.931 -0.542
C 0.296 -2.054 -1.424
C 0.250 -3.237 -2.192
C 1.219 -4.220 -2.072
N -0.614 -1.025 -1.454
C -1.690 -1.121 -2.263
C -2.497 0.012 -2.480
C -3.487 0.070 -3.503
C -4.085 1.259 -3.799
C -3.731 2.415 -3.078
C -2.832 2.278 -2.047
N -2.244 1.117 -1.731
H 3.188 -2.760 0.263
H 1.471 -1.029 0.047
H -0.549 -3.396 -2.902
H 1.152 -5.115 -2.677
H -1.990 -2.014 -2.801
H -3.713 -0.830 -4.061
H -4.819 1.315 -4.594
H -4.174 3.378 -3.288
H -2.569 3.116 -1.411
Br -2.879 -0.157 3.245
C -4.029 -1.525 2.498
Br -4.451 -1.404 0.627
-- stop --

-- Job --
Please duplicate the lines further up from the line with "0.681 -4.125" to the end exactly.

-- Reply --
C 0.681 -4.125 2.377
C 0.574 -2.767 2.268
C 1.253 -2.136 1.201
N 1.293 -0.845 0.881
C 1.946 -0.739 -0.430
C 2.323 1.745 -0.830
C 2.800 2.765 -1.585
S 1.711 4.079 -1.575
C 0.693 3.219 -0.515
N 1.120 2.029 -0.212
H 2.949 -2.329 -1.505
H 2.690 -4.901 -0.299
H 1.494 -5.961 1.581
H 0.164 -4.638 3.177
H -0.017 -2.182 2.961
H 3.697 2.787 -2.182
H -0.239 3.630 -0.151
*
```

## Properties
E_tot = -3054.8913 Ha
Expectation value of S² = 6.07

---

Molecular formula: C28H20BeClN2OPS2
Method: DFT, ωB97M-V/def2-TZVPD

Structure (ORCA input):
```
! RIJCOSX wB97M-V def2-TZVPD def2/J DEFGRID3
* xyz 0 1
Be -0.473 1.417 0.111
Cl -5.903 0.706 -3.879
C -4.400 0.624 -3.074
C -3.240 0.521 -3.843
C -2.015 0.781 -3.262
C -1.920 1.223 -1.883
O -0.774 1.628 -1.446
C -3.138 1.118 -1.029
C -3.118 1.606 0.316
N -1.949 1.891 0.901
C -1.621 2.904 1.747
C -2.470 3.614 2.598
C -1.971 4.598 3.477
C -0.610 4.975 3.417
C 0.272 4.305 2.586
C 1.671 4.563 2.480
C 2.485 3.648 1.811
C 1.888 2.679 1.031
N 0.568 2.485 0.985
C -0.232 3.250 1.781
C -4.326 0.784 -1.685
H -3.392 0.329 -4.883
H -1.072 0.606 -3.790
H -4.034 1.626 0.905
H -3.533 3.370 2.622
H -2.582 5.088 4.280
H -0.203 5.747 4.031
H 2.102 5.383 3.002
H 3.581 3.654 1.974
H 2.531 2.119 0.327
H -5.264 0.706 -1.193
S 2.643 0.012 -0.957
P 1.342 -1.346 -0.278
S -0.366 -0.751 0.644
C 2.140 -2.479 0.900
C 1.339 -3.374 1.611
C 1.947 -4.094 2.645
C 3.307 -4.014 2.855
C 4.076 -3.207 2.057
C 3.514 -2.424 1.048
C 1.025 -2.412 -1.679
C -0.275 -2.609 -2.205
C -0.452 -3.512 -3.274
C 0.618 -4.218 -3.819
C 1.859 -4.110 -3.173
C 2.089 -3.164 -2.187
H 0.270 -3.398 1.378
H 1.303 -4.759 3.233
H 3.816 -4.609 3.569
H 5.154 -3.294 2.102
H 4.112 -1.720 0.488
H -1.116 -2.083 -1.774
H -1.423 -3.712 -3.725
H 0.407 -4.905 -4.655
H 2.735 -4.701 -3.537
H 3.080 -3.063 -1.682
*
```

## Properties
E_tot = -2876.5976 Ha

---

Molecular formula: C28H20Br4ClEuF5N3O2
Method: DFT, ωB97M-V/def2-TZVPD

Structure (ORCA input):
```
! RIJCOSX wB97M-V def2-TZVPD def2/J DEFGRID3
* xyz -1 8
Eu -1.252 0.609 0.537
Br 1.190 2.462 2.643
C 2.849 1.793 2.030
C 3.796 1.659 3.007
C 5.098 1.215 2.698
C 5.420 0.934 1.408
C 4.460 1.067 0.373
C 4.848 0.767 -0.961
C 3.960 0.894 -1.983
C 2.636 1.291 -1.711
C 2.203 1.562 -0.437
C 3.134 1.483 0.657
H 3.541 1.897 4.029
H 5.831 1.112 3.487
H 6.417 0.600 1.149
H 5.863 0.435 -1.140
H 4.254 0.658 -2.998
H 1.906 1.318 -2.512
Br 3.595 -5.415 -1.023
C 2.268 -4.059 -1.188
C 2.361 -2.906 -0.420
C 1.394 -1.931 -0.542
C 0.296 -2.054 -1.424
C 0.250 -3.237 -2.192
C 1.219 -4.220 -2.072
N -0.614 -1.025 -1.454
C -1.690 -1.121 -2.263
C -2.497 0.012 -2.480
C -3.487 0.070 -3.503
C -4.085 1.259 -3.799
C -3.731 2.415 -3.078
C -2.832 2.278 -2.047
N -2.244 1.117 -1.731
H 3.188 -2.760 0.263
H 1.471 -1.029 0.047
H -0.549 -3.396 -2.902
H 1.152 -5.115 -2.677
H -1.990 -2.014 -2.801
H -3.713 -0.830 -4.061
H -4.819 1.315 -4.594
H -4.174 3.378 -3.288
H -2.569 3.116 -1.411
Br -2.879 -0.157 3.245
C -4.029 -1.525 2.498
Br -4.451 -1.404 0.627